(Source)
~~~
This record from Alexandria via LeMat-Bulk describes crystalline KTlWSe4 at its relaxed geometry. The functional is PBE-GGA.

Lattice parameters (Å, degrees): 7.1891 7.2451 9.7465 90.00 108.43 90.00
Last column: nearest neighbours and their distance in Å.
Atoms (fractional coordinates):
K 0.7853 0.7500 0.4736  6 Se 3.34-3.72
K 0.2147 0.2500 0.5264  6 Se 3.34-3.72
Tl 0.7341 0.7500 0.9357  5 Se 3.29-3.61
Tl 0.2659 0.2500 0.0643  5 Se 3.29-3.61
W 0.1902 0.7500 0.2837  4 Se 2.33-2.35
W 0.8098 0.2500 0.7163  4 Se 2.33-2.35
Se 0.0162 0.5075 0.7896  1 W 2.35
Se 0.9838 0.0075 0.2104  1 W 2.35
Se 0.9838 0.4925 0.2104  1 W 2.35
Se 0.0162 0.9925 0.7896  1 W 2.35
Se 0.4195 0.7500 0.1599  1 W 2.33
Se 0.5805 0.2500 0.8401  1 W 2.33
Se 0.3349 0.7500 0.5347  1 W 2.34
Se 0.6651 0.2500 0.4653  1 W 2.34

Values from the calculation:
The calculation puts the total magnetization at 0.0 Bohr magnetons per cell. The total energy comes out at -4.9451 eV/atom. The calculation puts the uncorrected formation energy at -4.26 eV/f.u. The space group is P2_1/m, No. 11.
~~~

(Wanted)
What is needed: reproduce every line further above that contains the word "out".

(Response)
The calculation puts the total magnetization at 0.0 Bohr magnetons per cell. The total energy comes out at -4.9451 eV/atom. The calculation puts the uncorrected formation energy at -4.26 eV/f.u. The space group is P2_1/m, No. 11.